They look like a loving power couple in black tie – but behind this photo of a top gang detective and his wife is a dark secret that has exploded publicly in their face.
Victorian Police Chief Stuart Bateson, 54, was secretly in the middle of a four-year affair with a junior officer when this photo was taken in 2017.
And when his police forensic expert wife Milka learned the truth, the mother of two tracked down her love rival and angrily confronted her after a “brain snap,” the Fair Work Commission has heard.
But the doomed affair would shake the careers of both husband and wife.
Victorian Police Chief Stuart Bateson, 54, was secretly in the midst of a four-year affair with a junior officer when this photo was taken with his wife Milka in 2017
After finally ending the affair, Bateson was charged with telling secret details to his lover about an Independent Broad-based Anti-Corruption Commission (IBAC) investigation.
And his wife was fired for posing as a journalist for The Age when she confronted his mistress – who cannot be named for legal reasons – during working hours.
The love triangle was revealed when Milka Bateson successfully appealed her dismissal from Victoria Police during a Fair Work Commission hearing.
Love rat Bateson was a former top detective who rose through the ranks and was instrumental in investigating the Melbourne gangland wars in the early 2000s.
# Misplaced crystal structures
First-principles (PBE-GGA) data for a relaxed GdYAg crystal, as listed in the Alexandria database.

Unit cell a=3.6734 b=5.0741 c=5.0741 alpha=120.00 beta=90.00 gamma=90.00
Sites, in units of the cell vectors:
Gd1 0.6141 0.6667 0.3333
Ag1 0.3210 0.3333 0.6667
Y1 0.0650 0.0000 0.0000

Computed properties:
polymorph energy (0 for the lowest one): 0.170 eV/atom
E_form: -0.024 eV/atom
DFT total energy: -7.822 eV/atom
spin magnetization: 7.227 μB per formula unit
He was played by actor Roger Corser in the Channel Nine Underbelly series which dramatized the gang war murders starring Carl Williams and Jason Moran.
Stuart Bateson told his wife Milka the full story, including the identity of his mistress and that she also worked for Victoria Police – and admitted she knew he was married and had children.
When Stuart Bateson’s forensic expert, Milka, discovered the truth, the mother of two tracked down her love rival and confronted her after a ‘brain snap’
But in 2015, Bateson began an illegal affair with a junior police officer who was five ranks below him, the Melbourne Magistrate’s Court was told in 2021.
He ended the affair in 2018 – leaving his mistress ‘demonstrably upset and angry’, the hearing heard – but shortly afterwards was charged with telling her about his role in the IBAC probe and suspended.
His wife learned of the affair, her husband’s suspension and charges levied on him in June 2019, leaving her “absolutely devastated,” the hearing was told.
She demanded to know who the mistress was and the “where, when, what and why” details of the affair, the hearing was told.
Mrs. Bateson immediately said she wanted to see the mistress, but her husband “begged her not to.”
Love rat Stuart Bateson was a former lead detective who rose through the ranks and was instrumental in investigating Melbourne’s gangland wars in the early 2000s.
Stuart Bateson was played by actor Roger Corser (above) in the Channel Nine Underbelly series which dramatized the gang war murders involving Carl Williams and Jason Moran.
But after a ‘stressed’ phone call from her husband following a lawsuit in December 2019, Ms Bateson decided to confront the woman.
“It made me even angrier at him because again, I said why should I? [she] do this?’ she told the hearing.
“This affair was supposedly meaningless, there were no feelings involved.
“It went over a period of four years, he breaks off the affair and suddenly… [the mistress] makes these false accusations against him and that’s what i wanted to talk to [her] about.’
She added: ‘What I wanted to discuss was that my belief was that my husband had been laced [her] four years with the promise that he would leave me for [her].
‘He refused [that] so I said to him, ‘Well, why should I? [she]? You break this affair then [she] makes these accusations?’
Milka Bateson slipped into a police station conference room with her work pass and got the ex-mistress’s direct number before making a brief 46-second phone call, the hearing was told.
“That doesn’t seem like a… [person] who didn’t care about the affair.
‘So I wanted to ask’ [her]: ‘Did my husband tell you he loved you? Did my husband tell you he would leave me for you?
‘That’s what I wanted to ask’ [her].’
She slipped into a police station conference room with her work pass and got the ex-mistress’ direct number before making a brief 46-second phone call, the hearing was told.
The ex-mistress answered the call before Mrs. Bateson told her, ‘Hello, I’m from The Age – I’m calling regarding a charge that has your name on it as a witness…’
The love rival wanted to know who was calling or what it was about before Mrs. Bateson hung up.
She later admitted she hadn’t planned the call and “just spat out the deception.”
A two-year investigation into the appeal began in its wake, and in April 2020, Ms Bateson was warned that she was facing criminal charges, including attempting to distort the course of justice and obstruct a witness.
Milka and Stuart Bateson are believed to have since reunited and live in western Melbourne
The following month, Mrs. Bateson had a complete nervous breakdown and was on medication.
All threats of criminal charges were withdrawn in November 2020, but then internal disciplinary proceedings began leading to her resignation in January 2022.
It turned out that Ms Bateson was not “honest, open and transparent” in her work and response to the investigation.
But she told the Fair Work when she learned her actions were “all too human, all too understandable.”
The Fair Work thought her dismissal was unfair and ordered her to be reinstated, despite opposition from the Victoria Police.
Bateson has since left the police force for health reasons, suffers from post-traumatic stress disorder and is training to be a volunteer counselor.
He was initially fine of $6,000 for the alleged IBAC disclosures to his lover, but the charges were later dropped on appeal and he was acquitted of the charges.
The couple is said to have now reunited and live in western Melbourne.